
**Early Stopping**: A technique used during training of machine learning models to halt the training process when performance on a validation set begins to degrade, preventing overfitting.

**Edge Computing**: A distributed computing paradigm that brings computation and data storage closer to the location where it is needed, improving response times and saving bandwidth.

**Edge Detection**: A technique used in image processing to identify the boundaries within an image by detecting discontinuities in brightness.

**Eigendecomposition**: The process of decomposing a matrix into its eigenvalues and eigenvectors, often used in dimensionality reduction techniques such as Principal Component Analysis (PCA).

**Elastic Net**: A regularization technique that combines both L1 and L2 penalties of the lasso and ridge methods to improve the model's performance, especially in cases of multicollinearity.

**Embedding**: A representation of data in a lower-dimensional space, often used in natural language processing to convert words or phrases into vectors of real numbers.

**Ensemble Learning**: A machine learning approach that combines the predictions of multiple models to produce a more accurate and robust final prediction.

**Entropy**: A measure of uncertainty or disorder, often used in information theory to quantify the unpredictability of a random variable or the impurity in decision trees.

**Episode**: In reinforcement learning, an episode is a single run of the agent through the environment, starting from an initial state and ending when a terminal state is reached.

**Epoch**: A full pass through the entire training dataset during the training of a machine learning model, often involving multiple epochs to optimize model performance.

**Equivariance**: A property of a model where applying a transformation to the input results in a corresponding transformation of the output, important in models like convolutional neural networks.

**Error Rate**: The proportion of incorrect predictions made by a machine learning model, typically measured on a validation or test set.

**Evolutionary Algorithms**: A class of optimization algorithms inspired by the process of natural selection, where candidate solutions evolve over time to optimize a specific objective function.

**Exponential Decay**: A technique in learning rate scheduling where the learning rate decreases exponentially as training progresses, helping the model converge more smoothly.

**Exploratory Data Analysis (EDA)**: An approach to analyzing data sets to summarize their main characteristics, often using visual methods to uncover patterns, spot anomalies, and check assumptions.

**Exploitation vs. Exploration**: A dilemma in reinforcement learning where the agent must decide between exploiting known rewards and exploring new actions to discover potentially better rewards.

**Exponential Moving Average (EMA)**: A time series forecasting method that applies exponentially decreasing weights to past observations, smoothing out data to reveal trends.

**Expert System**: A type of AI program that mimics the decision-making abilities of a human expert, typically using a set of rules derived from expert knowledge.

**Extrapolation**: The process of estimating beyond the original observation range, using the trends observed in the data to predict future outcomes.

**Expectation-Maximization (EM) Algorithm**: An iterative method used to find the maximum likelihood estimates of parameters in statistical models, especially when data is incomplete or has latent variables.

Next to the page, the page also holds data records:
+++
Record 1
Formula: CH3FN2OS
Source: the OMol25 dataset
Level of theory: ωB97M-V/def2-TZVPD

The value obtained for the molar mass is 110.11 g mol⁻¹. Its SMILES is [H]/N=C\F.ON=S. As for the total energy: -722.59255 hartree. Its energy above the lowest of the compared OMol25 structures with the same formula, charge and spin is 226.5 kJ/mol. The value obtained for the gap between HOMO and LUMO is 8.197 eV. Its HOMO energy is -9.1 eV.

Structure (ORCA input):
```
! wB97M-V def2-TZVPD RIJCOSX def2/J DEFGRID3
* xyz 0 1
H 1.532 1.540 0.827
N 0.995 0.667 0.881
C 0.621 0.474 -0.287
F 0.940 1.202 -1.370
H -0.234 -0.224 -0.499
O -1.478 -0.638 1.452
N -1.707 -1.373 2.598
S -2.456 -2.738 2.375
H -1.023 0.092 1.908
*
```

These are the Mulliken partial charges, in e, on atoms 1 to 5:
1 H 0.237
2 N -0.520
3 C 0.230
4 F -0.218
5 H 0.297

---

Record 2
Formula: C4H7BN2O
Source: the OMol25 dataset
Level of theory: ωB97M-V/def2-TZVPD

The value obtained for the molar mass is 109.92 g mol⁻¹. As for the total energy: -366.16685 hartree. Its energy above the lowest of the compared OMol25 structures with the same formula, charge and spin is 213.5 kJ/mol. The value obtained for the gap between HOMO and LUMO is 8.333 eV. Its HOMO energy is -7.7 eV.

Structure (ORCA input):
```
! wB97M-V def2-TZVPD RIJCOSX def2/J DEFGRID3
* xyz 0 1
B 1.843 -0.416 0.185
C 1.334 -0.610 1.804
C -0.011 -0.302 1.844
C 0.614 0.154 -0.907
C -1.832 0.460 -1.124
N -0.849 -0.017 0.904
N -0.570 0.183 -0.369
O 3.080 -0.522 -0.336
H 0.747 0.516 -1.882
H 1.897 -0.750 2.612
H -0.534 -0.496 2.730
H -2.229 1.280 -0.524
H -1.412 0.722 -2.125
H -2.392 -0.475 -0.997
H 3.881 -0.956 -0.078
*
```

These are the Mulliken partial charges, in e, on atoms 1 to 5:
1 B 0.260
2 C -0.613
3 C -0.219
4 C -0.146
5 C -0.738

---

Record 3
Formula: C29H66GeN3O4PtS2Si4
Source: the OMol25 dataset
Level of theory: ωB97M-V/def2-TZVPD

The value obtained for the molar mass is 965.03 g mol⁻¹. As for the total energy: -5760.70571 hartree. Its energy above the lowest of the compared OMol25 structures with the same formula, charge and spin is 0.0 kJ/mol. The value obtained for the gap between HOMO and LUMO (spin up / spin down) is 7.150 / 6.592 eV. Its HOMO energy (spin up / spin down) is -6.6 / -8.0 eV. Its expectation value of S² is 3.761.

Structure (ORCA input):
```
! wB97M-V def2-TZVPD RIJCOSX def2/J DEFGRID3
* xyz 0 4
Pt 0.139 -0.610 0.802
C 0.265 4.634 -1.145
C 0.982 3.720 -0.160
C 2.462 4.066 -0.078
C 0.342 3.803 1.217
O 0.826 2.353 -0.567
Si 1.199 1.494 -1.893
S 0.563 -0.491 -1.516
O 2.776 1.625 -2.286
C 3.991 0.909 -2.043
C 4.048 -0.301 -2.965
C 4.050 0.474 -0.586
C 5.116 1.881 -2.365
O 0.337 2.094 -3.152
C 0.589 2.136 -4.562
C -0.705 2.623 -5.201
C 1.717 3.116 -4.861
C 0.928 0.734 -5.053
H 0.313 5.669 -0.800
H -0.783 4.342 -1.233
H 0.719 4.577 -2.133
H 2.588 5.084 0.295
H 2.935 3.992 -1.057
H 2.963 3.382 0.608
H 0.332 4.834 1.574
H 0.904 3.193 1.927
H -0.680 3.426 1.178
H 3.185 -0.947 -2.794
H 4.957 -0.875 -2.777
+++

**Explained Variance**: A measure of how much of the total variance in the data is captured by the model, often used in the context of Principal Component Analysis (PCA).

**Exploratory Factor Analysis (EFA)**: A statistical technique used to identify underlying relationships between measured variables by modeling the data in terms of a smaller number of unobserved factors.

**Explicit Feedback**: Direct feedback provided by users, such as ratings or likes, often used in recommendation systems to learn user preferences.

**Empirical Risk Minimization (ERM)**: A principle in machine learning that aims to minimize the average loss on the training data, guiding the selection of model parameters.

**Entity Embedding**: The process of mapping categorical variables into a continuous vector space, commonly used in deep learning to handle high-cardinality categorical features.

**Ensembling**: The process of combining predictions from multiple machine learning models to create a more accurate and stable prediction, often through methods like bagging, boosting, or stacking.

**Epsilon-Greedy**: A strategy used in reinforcement learning to balance exploration and exploitation by choosing a random action with probability epsilon, and the best-known action with probability 1-epsilon.

**Encoder-Decoder Model**: A neural network architecture commonly used in sequence-to-sequence tasks, where the encoder processes the input into a fixed-length vector and the decoder generates the output sequence.

**End-to-End Learning**: A learning approach where a model is trained to perform a task directly from input data to output predictions, without breaking the problem into intermediate steps or stages.

Here the piece breaks off for records of molecules:
13 unconnected molecules or ions with the total composition C75H169N7O13 in a non-equilibrium geometry, computed with the ωB97M-V functional and the def2-TZVPD basis.

Properties
**Relative energy (zero: lowest compared OMol25 entry of this formula, charge and spin)**: 76.8 kcal per mole
**Charge**: 0
**E_HOMO**: -7.59 eV

Each line ends with the Mulliken charge.
Atoms and positions in Å:
O 1.63905 -6.91109 3.85298  -0.68
H 1.69537 -6.04048 4.24680  0.28
H 1.57559 -6.74536 2.91238  0.42
O 4.01580 -5.18613 0.30771  -0.62
H 4.80060 -5.55433 0.71362  0.28
H 3.98148 -4.28417 0.62631  0.20
C -0.22720 0.69147 3.40265  -2.29
C 0.73235 -0.13049 2.65707  1.71
C 0.72542 -1.54592 3.28546  -1.57
C 1.39490 -2.63546 2.40513  0.64
C 0.70147 -2.77248 1.16099  -1.58
C 0.67447 -1.39715 0.32970  3.03
N 0.27369 -0.19978 1.23213  0.84
O 0.16841 1.02743 0.59874  0.34
C 1.98282 -1.18271 -0.35924  -0.01
C -0.45191 -1.66331 -0.61453  -1.70
C 2.11817 0.50337 2.88920  -1.08
H -1.22695 0.28523 3.24911  0.36
H -0.33911 1.70295 3.01216  0.32
H 0.06584 0.78868 4.44801  0.40
H 1.39186 -1.59963 4.14632  0.62
H -0.29745 -1.82616 3.53708  0.43
H 1.64653 -3.55349 2.93616  0.41
H 2.37517 -2.25403 2.11933  -0.95
H -0.27523 -3.25444 1.20432  0.44
H 1.28402 -3.45915 0.54680  -0.10
H 1.94862 -0.21882 -0.86704  -0.35
H 2.75727 -1.18170 0.40778  -0.55
H 2.23214 -2.03431 -0.99226  0.18
H -0.27651 -2.49992 -1.29085  0.38
H -1.38479 -1.64543 -0.05104  0.57
H -0.53544 -0.85635 -1.34249  -0.75
H 2.34064 0.58967 3.95276  0.08
H 1.85040 1.48701 2.50339  0.55
H 2.98563 0.15449 2.32893  -0.51
H -0.78127 1.16778 0.59645  0.10
C -5.32090 -2.12831 1.38777  -1.80
C -5.37572 -0.55829 1.06893  1.30
C -6.29325 -0.37033 -0.20682  -1.06
C -6.62552 1.03259 -0.52927  0.53
C -7.30395 1.78872 0.74488  -1.97
C -6.51627 1.61627 2.11563  1.90
N -5.98463 0.18936 2.20598  0.30
O -5.46973 -0.07061 3.41172  -0.24
C -5.37534 2.69236 2.30488  -1.50
C -7.57160 1.82821 3.18135  -2.08
C -3.91082 -0.08514 0.85668  -0.17
H -6.23872 -2.43648 1.88850  0.48
H -4.43067 -2.32466 1.98530  0.32
H -5.04328 -2.57848 0.43469  0.33
H -5.69745 -0.81512 -1.00388  0.09
H -7.21966 -0.88979 0.03818  0.40
H -7.31895 0.97899 -1.36855  0.86
H -5.72718 1.49860 -0.93413  -0.62
H -8.38088 1.62084 0.75613  0.38
H -7.34431 2.86102 0.55346  0.48
H -4.72825 2.63912 1.42936  0.19
H -5.71779 3.72690 2.32840  0.46
H -4.81516 2.51951 3.22380  0.20
H -8.01108 2.82447 3.23066  0.37
H -8.38345 1.12663 2.98952  0.50
H -7.23420 1.69401 4.20909  0.40
H -3.30832 0.40902 1.61884  0.29
H -3.80444 0.58488 0.00353  -0.59
H -3.37612 -0.85716 0.30334  -0.16
H -6.25669 -0.35461 3.88250  0.33
C -3.49435 -1.43668 -2.81151  -1.21
C -4.11775 -1.76962 -4.14781  3.26
C -3.63893 -3.13157 -4.55335  -0.21
C -4.46047 -3.81536 -5.66198  -1.25
C -5.96488 -3.87052 -5.25771  -1.16
C -6.41839 -2.37667 -4.92455  1.02
N -5.55579 -1.80263 -3.87469  0.24
O -6.03272 -0.52982 -3.60494  -0.17
C -6.55445 -1.59969 -6.32337  -1.58
C -7.93854 -2.60880 -4.29600  -1.79

**Entropy Regularization**: A technique used in machine learning to encourage a model to produce more uncertain or diverse predictions, often applied in reinforcement learning to promote exploration.

**Edge Detection**: A method in image processing and computer vision that identifies points in a digital image where the image brightness changes sharply, often used for feature extraction.

**Evolutionary Strategy (ES)**: A type of evolutionary algorithm focused on optimizing real-valued parameters, often used in continuous optimization problems.

**Event-Driven Architecture (EDA)**: A software architecture pattern promoting the production, detection, consumption, and reaction to events, often used in systems requiring real-time processing.

**Embedding Space**: The multidimensional space in which embeddings, such as word vectors or image features, are represented, allowing for operations like similarity searches or clustering.

**Explicit Model**: A model where the functional form of the relationship between variables is fully specified, in contrast to implicit models where the relationship is defined indirectly or inferred from data.

**Edge List**: A data structure used in graph theory to represent a graph by listing its edges, often used to store and analyze network data.

**Empirical Distribution**: The distribution of a set of observations, often used to estimate the probability distribution of a population based on a finite sample.

**Entropic Regularization**: A technique used to smooth optimization problems by adding an entropy term to the objective function, promoting exploration and diversity in the solutions.

**Exploding Gradient Problem**: A challenge in training deep neural networks where gradients grow exponentially during backpropagation, leading to instability and divergence of the model parameters.

**Edge Case**: A problem or situation that occurs only at an extreme operating parameter, often used to test the robustness of machine learning models and algorithms.

**Expectation Propagation**: A variational inference method used in Bayesian statistics to approximate complex distributions, offering a trade-off between accuracy and computational efficiency.

**Expert Annotator**: A human expert who labels or annotates data for use in machine learning models, often used in domains requiring specialized knowledge.

**Exposure Bias**: A problem in sequence generation models where the model is trained on ground-truth sequences but tested on sequences generated by the model itself, leading to errors that accumulate over time.

**Entity Recognition**: A task in natural language processing where named entities, such as people, organizations, or locations, are identified and classified within text.

**Elastic Distortion**: A data augmentation technique often used in image processing where small, random distortions are applied to the image to make the model more robust to variations.

**Encoder**: The part of a neural network model, particularly in sequence-to-sequence tasks, that processes the input data into a fixed-length vector or set of vectors representing the information contained in the input.

**Ensemble Averaging**: A method in ensemble learning where the predictions of multiple models are averaged to produce a final prediction, often reducing variance and improving generalization.

**Equilibrium Point**: In game theory and optimization, a point where no participant can improve their outcome by changing their strategy, often used to analyze the stability of systems.

**Exploitability**: In reinforcement learning, the extent to which an agent's strategy can be exploited by an opponent, often considered when designing robust agents.

**Erosion**: A morphological operation in image processing that shrinks the boundaries of regions of foreground pixels, often used to remove small noise in binary images.

**Exponential Smoothing**: A time series forecasting method that applies exponentially decreasing weights to past observations, emphasizing more recent data points while smoothing out fluctuations.

[These calculated molecules were left in the article by mistake]
<<<
No. 1
C26H27B2F4N6O6SeY as an isolated structure. Source: the OMol25 dataset; level of theory: ωB97M-V/def2-TZVPD.

Results
* relative energy (zero: lowest compared OMol25 entry of this formula, charge and spin): 22.5 kcal/mol
* total charge: 0
* strongest force on any atom: 0.04545 hartree/bohr
* energy: -127247.698 eV
* HOMO-LUMO gap: 0.2639 Ha
* molar mass: 785.02 Da
* 2S+1: 1

CARTESIAN COORDINATES (ANGSTROEM)
Y (-0.43, 0.02, -0.03)
Se (-1.79, -2.49, -1.38)
F (-2.16, 0.29, 3.89)
F (-1.90, 4.02, 0.15)
F (-0.75, -1.42, 4.63)
F (-2.02, 4.05, -2.19)
O (-0.29, 2.91, -1.17)
O (-0.05, -2.46, -0.59)
O (-1.52, -1.49, 2.46)
O (-2.74, 2.18, -1.08)
O (1.30, -0.97, 1.02)
O (0.12, 0.24, 3.31)
N (-0.67, 0.31, -2.66)
N (0.02, 1.02, 2.22)
N (-2.01, -0.77, 1.40)
N (0.12, 2.22, -0.05)
N (1.83, 0.31, -1.50)
N (-2.51, 1.21, -0.16)
C (0.37, 0.78, -3.36)
C (1.84, -2.04, 1.43)
C (0.58, -3.49, -0.13)
C (-3.23, -0.42, 1.37)
C (3.05, 0.09, -0.99)
C (-1.07, 1.72, -5.01)
C (0.81, 2.02, 2.16)
C (1.02, 4.29, 0.89)
C (-4.93, 0.92, -0.13)
C (3.17, -4.38, 2.34)
C (-2.14, 1.19, -4.32)
C (0.21, 1.50, -4.53)
C (-3.54, 0.59, 0.30)
C (1.58, -3.32, 0.84)
C (-4.28, -0.90, 2.31)
C (2.28, -4.47, 1.33)
C (0.64, 2.86, 0.92)
C (-1.89, 0.50, -3.16)
C (4.07, 0.16, -3.13)
C (1.73, 0.49, -2.82)
C (1.78, 2.41, 3.23)
C (2.76, -1.99, 2.52)
C (3.40, -3.12, 2.95)
C (2.82, 0.40, -3.67)
C (0.19, -4.84, -0.64)
C (4.19, 0.02, -1.76)
B (-1.11, -0.58, 3.60)
B (-1.74, 3.33, -1.05)
H (4.09, -3.04, 3.78)
H (-3.84, -1.50, 3.09)
H (-5.01, -1.49, 1.75)
H (-3.16, 1.34, -4.65)
H (5.15, -0.16, -1.29)
H (-2.70, 0.07, -2.58)
H (-1.23, 2.30, -5.91)
H (-4.80, -0.05, 2.77)
H (-5.02, 2.00, -0.28)
H (-0.17, -5.46, 0.19)
H (0.80, 4.73, -0.07)
H (1.62, 3.44, 3.54)
H (-5.15, 0.45, -1.09)
H (3.69, -5.26, 2.70)
H (0.46, 4.83, 1.66)
H (2.08, 4.40, 1.13)
H (2.80, 2.34, 2.84)
H (1.68, 1.75, 4.09)
H (2.09, -5.43, 0.87)
H (3.09, -0.04, 0.08)
H (1.07, -5.33, -1.06)
H (2.68, 0.49, -4.74)
H (-0.58, -4.77, -1.39)
H (1.07, 1.91, -5.04)
H (4.94, 0.07, -3.78)
H (-5.66, 0.58, 0.60)
H (2.90, -1.03, 3.01)

---

No. 2
An isolated ion of composition C4H9NO2 and charge -1. Source: the OMol25 dataset; level of theory: ωB97M-V/def2-TZVPD.

Results
* relative energy (zero: lowest compared OMol25 entry of this formula, charge and spin): 121.4 kcal/mol
* total charge: -1
* strongest force on any atom: 0.12391 hartree/bohr
* energy: -9873.423 eV
* HOMO-LUMO gap (spin up / spin down): 0.1998 / 0.2766 Ha
* expectation value of S²: 0.754
* molar mass: 103.12 Da
* 2S+1: 2

CARTESIAN COORDINATES (ANGSTROEM)
O (1.88, -1.24, -0.30)
O (0.98, -0.51, -2.23)
N (-0.38, -0.65, -0.41)
C (-1.42, -0.04, 0.33)
C (1.03, -0.39, -0.52)
C (-0.42, 1.07, 2.18)
C (-1.36, 1.37, 0.82)
H (-0.42, 2.02, 2.74)
H (1.64, 0.21, -2.23)
H (-0.59, 2.27, 0.24)
H (-0.92, 0.36, 2.83)
H (-2.38, -0.16, -0.27)
H (-0.65, 0.10, -1.28)
H (0.54, 0.49, 2.12)
H (-2.41, 1.54, 0.86)
H (-1.90, -0.40, 1.30)

---

No. 3
>>>
[The calculated molecules stop here]

**Exact Match Ratio**: A metric used to evaluate models, particularly in tasks like question answering or information retrieval, by measuring the proportion of predictions that exactly match the ground truth.

**Epistemic Uncertainty**: Uncertainty in machine learning models due to limited knowledge or data, often reducible with more data or better models, in contrast to aleatoric uncertainty, which is inherent and irreducible.

**Ensemble Diversity**: The degree of variation among the models in an ensemble, where greater diversity can lead to better overall performance due to complementary strengths and weaknesses of the individual models.

**Eigenvector**: A vector that remains unchanged in direction after a linear transformation, associated with a particular eigenvalue, often used in dimensionality reduction and principal component analysis.

**Error Backpropagation**: The process of propagating the error gradient backward through a neural network to update the weights, enabling the network to learn from its mistakes and improve accuracy.